Writer's Note: This post is largely in response to several emails I received containing angry and near-dogmatic understandings of the importance of dressing. Most of these partially venomous screeds theorized correlation between tie and pocket square wearing to some non-existent ghost of "the Gentleman", with a naive impatience for those who conduct themselves differently. While I love finding, buying, wearing, and thinking, talking, writing, and reading about more formal clothing, I do prefer to keep it in perspective. The beauty of the human soul and spirit are quickly consumed when devoted to keeping one's outward self alight, leaving the eyes window to a spent and desolate core wrapped in a fussed-over presentation of grooming and bother.
Catalogs, websites, blogs, commercials, and television would like us to think that worlds exist where the aesthetic is unblemished, the mood is just so, and people dress to the most picturesque end of the spectrum as possible each moment of the day. In reality, there are no set-designers to provide rich low lighting to walnut panels, no costume designers to bulldog clip the waist of the jacket to give it a drinking-straw taper, and no casting directors to ensure that the event will be filled with tall slender/chiseled models to provide the cocktail chit-chat which we imagine they are capable of. If you watch television or go to the movies, you will be certain, CERTAIN, that the intelligence apparatus of each federal (or even state) agency is staffed by models who dress well and gaze analytically at state-of-the-art technology with desks and floors that are modern and back-lit. In reality, desks, computers, filing cabinets and coat racks are all purchased from the near-lowest bidder on a commercial procurement, which until recently, had largely remained stagnant with Steelcase-type furnishings and fluorescent lighting. Only recently have our federal agencies allowed themselves a much-needed and well-deserved sprucing up, with windows, carpeting, and more human lighting, finally bidding farewell to the remaining 70's/80's furniture and style that certainly provided no dignity to its users.
While the college experience is available to more people now than ever, the myth of the heavily tweeded and flanneled bow tie academic may be dying somewhat, and we no longer expect to see cardigans under herringbone jackets with patched elbows. If you want to bring back these styles with academic halls, simply discontinue heating in classrooms and offices, and you'll likely see more heavy woolen suits, sweaters, and tightened ties.

Other images that we tend to carry around are also inaccurate (though charming).
Country Clubs

Image: bright madras, white pants, straw hats, blazers of all colors, bow-ties, ascots, lobster-embroidered pants, and seersucker, hands holding dry Martinis.
**These crystal structures were left in the piece by mistake**
____________
Simulated X-ray diffraction stick pattern of KLiHg14 for λ = 1.5418 Å (Cu Kα), from a DFT-relaxed cell (PBE, Alexandria).

Atomic structure:
```
data_KLiHg14
_chemical_formula_sum 'K2 Li2 Hg28'
_cell_length_a 9.4570
_cell_length_b 9.4570
_cell_length_c 11.7318
_cell_angle_alpha 110.81
_cell_angle_beta 110.81
_cell_angle_gamma 83.33
_symmetry_space_group_name_H-M 'P 1'
_symmetry_Int_Tables_number 1
loop_
_symmetry_equiv_pos_as_xyz
'x,y,z'
loop_
_atom_site_label
_atom_site_type_symbol
_atom_site_fract_x
_atom_site_fract_y
_atom_site_fract_z
K1 K 0.1969 0.8031 0.7500
K2 K 0.8031 0.1969 0.2500
Li1 Li 0.0000 0.5000 0.0000
Li2 Li 0.5000 0.0000 0.5000
Hg1 Hg 0.0209 0.1748 0.5739
Hg2 Hg 0.0887 0.1917 0.8748
Hg3 Hg 0.1151 0.4523 0.4257
Hg4 Hg 0.1396 0.4748 0.8102
Hg5 Hg 0.1748 0.0209 0.0739
Hg6 Hg 0.1917 0.0887 0.3748
Hg7 Hg 0.2201 0.3899 0.1848
Hg8 Hg 0.2533 0.7019 0.1037
Hg9 Hg 0.2981 0.7467 0.3963
Hg10 Hg 0.3899 0.2201 0.6848
Hg11 Hg 0.4381 0.5151 0.6084
Hg12 Hg 0.4523 0.1151 0.9257
Hg13 Hg 0.4748 0.1396 0.3102
Hg14 Hg 0.4849 0.5619 0.8916
Hg15 Hg 0.5151 0.4381 0.1084
Hg16 Hg 0.5252 0.8604 0.6898
Hg17 Hg 0.5477 0.8849 0.0743
Hg18 Hg 0.5619 0.4849 0.3916
Hg19 Hg 0.6101 0.7799 0.3152
Hg20 Hg 0.7019 0.2533 0.6037
Hg21 Hg 0.7467 0.2981 0.8963
Hg22 Hg 0.7799 0.6101 0.8152
Hg23 Hg 0.8083 0.9113 0.6252
Hg24 Hg 0.8252 0.9791 0.9261
Hg25 Hg 0.8604 0.5252 0.1898
Hg26 Hg 0.8849 0.5477 0.5743
Hg27 Hg 0.9113 0.8083 0.1252
Hg28 Hg 0.9791 0.8252 0.4261
```

Top 10 peaks for 2θ = 15–90°, in order of rising 2θ:
3.126 Å, 2θ = 28.6°, I 1000
2.945 Å, 2θ = 30.3°, I 467
2.892 Å, 2θ = 30.9°, I 645
2.835 Å, 2θ = 31.6°, I 595
2.820 Å, 2θ = 31.7°, I 877
2.805 Å, 2θ = 31.9°, I 331
2.439 Å, 2θ = 36.9°, I 589
2.321 Å, 2θ = 38.8°, I 674
2.309 Å, 2θ = 39.0°, I 305
1.466 Å, 2θ = 63.5°, I 304

=====

Simulated X-ray diffraction stick pattern of KLiHgSe2 for λ = 1.5418 Å (Cu Kα), from a DFT-relaxed cell (PBE, Alexandria).

Atomic structure:
```
data_KLiHgSe2
_chemical_formula_sum 'K2 Li2 Hg2 Se4'
_cell_length_a 7.2159
_cell_length_b 7.2159
_cell_length_c 9.5774
_cell_angle_alpha 98.87
_cell_angle_beta 98.87
_cell_angle_gamma 35.78
_symmetry_space_group_name_H-M 'P 1'
_symmetry_Int_Tables_number 1
loop_
_symmetry_equiv_pos_as_xyz
'x,y,z'
loop_
_atom_site_label
_atom_site_type_symbol
_atom_site_fract_x
_atom_site_fract_y
_atom_site_fract_z
K1 K 0.1614 0.1614 0.1758
K2 K 0.8386 0.8386 0.8242
Li1 Li 0.1721 0.1721 0.5664
Li2 Li 0.8279 0.8279 0.4336
Hg1 Hg 0.4503 0.4503 0.2984
Hg2 Hg 0.5497 0.5497 0.7016
Se1 Se 0.1341 0.1341 0.8270
Se2 Se 0.3648 0.3648 0.5693
Se3 Se 0.6352 0.6352 0.4307
Se4 Se 0.8659 0.8659 0.1730
```

Top 10 peaks for 2θ = 15–90°, in order of rising 2θ:
4.725 Å, 2θ = 18.8°, I 546
4.212 Å, 2θ = 21.1°, I 1000
3.923 Å, 2θ = 22.7°, I 483
3.164 Å, 2θ = 28.2°, I 348
3.052 Å, 2θ = 29.3°, I 553
2.586 Å, 2θ = 34.7°, I 729
2.501 Å, 2θ = 35.9°, I 582
2.217 Å, 2θ = 40.7°, I 398
2.178 Å, 2θ = 41.5°, I 563
1.793 Å, 2θ = 50.9°, I 565

=====
____________
Reality: non-descript golf shirts and plain pants, and when there's a dress code, more khakis/white shirt/navy blazer combinations than can be imagined, generally draped unflatteringly around aged stomachs. Shoes are either loafers or a boat shoe, hands holding cheap beer or well-grade gin and tonics.
Image: Dark three-piece suits with club-collared shirts and striped tie, black-tie, spread-collar with spotted bow tie and flannel pants, ascots, heavy wool blazers with collar pins lifting four-in-hand knots, highly shined black cap-toes, argyle sweater vests and ties with small nouns on them.
Reality: Mostly what people wore to work that day, blazers, suits, occasional camel-hair jackets or tweeds, and often unremarkable ties.
Yacht Clubs
Image: Navy double-breasted blazers, white pants, Bengal striped shirts, yellow ascots, yachting caps (seriously), ribbon jackets, anchor patches on blazers, and bold primary colors, drinking rum or Champagne.
Reality: Gross sailing clothing for those recently afloat, sun-faded shorts and shirts, baseball caps, sunburn, ratty sweaters and sweatshirts, bucket hats for the oldsters or headwear with under-the-chin drawstrings, white-soled tennis shoes or Top Siders, khaki shorts, and jackets which seem too warm for summer but are appropriate away from land. If it's an evening event, blazers, khakis, and ties, with very occasional yellow cotton sweater vest with boat shoes. Watery American beers are favored, as most guests are already dehydrated from sailing, swimming, and summer sun.
There seems to be an (understandable) assumption that were a young man to enter one of these clubs or organizations as a guest or new member, that the existing membership would scrutinize and whisper details of the young man's wardrobe with one another. It simply does not happen. So long as the dress code is met, other members are more concerned with making sure you're not there to "network" and whether or not you are holding your liquor well. That is not to say that each of these clubs don't have a few members who dress in handsome and noteworthy assemblies, but a yacht club is about cruising, racing, or teaching your kids to sail or swim, and not about wardrobe.
Where it may have gone wrong
Because most of these organizations are populated by middle-to-late-aged Baby Boomers who brought us the 1960's rejection of decades of formality, there is often little pleasure taken in dress code adherence. Weddings and parties rented out to people unaffiliated with the clubs usually have better dressed guests that the club members themselves. The same demographic that invented and implemented indulgences like "casual Fridays" has no interest in the formality of those who survived the Depression and the Second World War, and possibly resent it. This voting block ushered in Country Club by-laws establishing "casual dining" and "grill room dining". The sad result is that jackets and ties are left only for the "Main Dining Rooms" which once required reservations, but are now thinly populated and pleasantly without televisions above the bar. A note-worthy feature of a restaurant these days requires pants in non-denim and with dress shoes, and a sleeve or jacket requirement places a restaurant at legitimate risk of bankruptcy. Certainly most eateries should NOT have dress codes, but when a clothing standard is dangerously close to a business death-sentence, it points out that perhaps we have gone too far in one direction. Considering too, how many actual cultural restrictions of conduct and custom we adhere to in restaurants, hostile resistance to clothing requirements seems infantile and overly precious.
For those in their 30's and 40's (roughly), childhood was still formal, shorts were not for church, dinner, restaurants, or birthday parties, and visiting the Statehouse on a field-trip was a solemn event for which one dressed respectfully in whatever they owned or could borrow. This same demographic is now perplexed by the shift in parental formality, and while most embrace the the new relaxation from that which once ruled them, judging by the niche blogs I read, a small and dedicated array of younger men and boys have turned the tables on the new casual-dress attitude of their parents, often to the delight of grandparents who worked in suits their entire careers. I hear it steadily in emails, including this quote from a 32 year old son of two university professor parents:
"My whole childhood was spent getting lectured about dressing right. When we went to DC we were dressed up even though we were young and just going to museums. My parents are both still teaching at [university] and [same university's medical school], but along with all of the faculty they always wear the minimally formal clothing with white sneakers to restaurants and the like. Once [their demographic] got in charge it was regular wearing of what they used to call "play clothes" when I wore them with sneakers, jeans, teeshirts. I'm the only one in a tie during holidays and its by my own choice!"
Law and finance still dress well by culture, but don't expect healthcare to get out of their pajamas, preferring surgical "scrubs" regardless of whether or not they will be anywhere near the operating room.
There is a legitimate argument to be made for aesthetic value, but that is different from the idea of tradition and a false sense of propriety. The trap into which many young men fall is becoming too vocal a jerk about it, jamming it down the throats of everyone within ear/eye shot.
Tread not dandily
There will always exist the risk of aesthetic nostalgia leading one towards costume or near-parody, and taking the time to choose and assemble ones daily clothing separates people only to the degree that hobbies, personal incomes, or music preferences are perceived to do... a shallow and pitifully thin common-thread with no correlation to personal quality, manner, or conduct. I get disturbingly misguided emails occasionally from male readers in their 20's and 30's who I can only assume have alienated those around them by their costume approach to dressing, forcing attention towards themselves for their ascots and bowlers (you should see some of the photos I get), their cargo-pocketed mono-chrome kilts, or their long fur coats and canes (!). Too much is often assumed by those dressing well, and when the magical "access" fails to materialize, the flood of "exclusive" invitations don't polish the mail slot, and the nasty social agenda isn't realized, they end up embittered and unpleasant with a nice wardrobe being their only feature.